Temporary Safeguards for Steel Industry
Read the President's Statement
President Bush Tuesday announced his decision to impose temporary safeguards to help give America’s steel industry and its workers the chance to adapt to the large influx of foreign steel.
This relief will help steelworkers, communities that depend on steel, and the steel industry adjust without harming our economy.
Background on the President’s Decision
- Free trade is a cornerstone of President George W. Bush’s agenda to help generate jobs for American workers, open markets to American products and services, and spur economic growth. While free trade is an engine of economic growth, sometimes changes in global economic conditions and large increases in imports can have dramatic consequences on industries, and this has been the case with America’s steel industry.
- Foreign steel producers, often nurtured by government subsidies that have allowed them to build huge amounts of excess capacity, have flooded the U.S. market with imports, seriously affecting U.S. steel producers, workers and communities. Since 1998, firms accounting for thirty percent of U.S. steel-making capacity have filed for bankruptcy. Domestic steel prices in the last quarter of 2001 were at their lowest levels in 20 years, and a number of integrated and mini-mill producers posted significant fourth-quarter financial losses last year.
- Last June President Bush asked the International Trade Commission (ITC) to investigate the effects of imports on America’s steel industry and its workers. The ITC found that imports are a substantial cause of serious injury to the U.S. steel industry.
-- The entry is interrupted by data records --
'''
1.
34
Properties=species:S:1:pos:R:3:forces:R:3 method="wB97M-V/def2-TZVPD" e_lumo_ha=-0.0833 total_charge=0 total_energy_ha=-3277.58372 de_lowest_kj_mol=1949.36 homo_ev=-5.49
Pb -0.047243 -0.218914 -0.043851 -2.18 5.90 -1.24
N -0.590783 -0.310934 -1.625821 -2.60 -1.80 -16.94
S -2.071123 -0.143014 -1.934471 -9.26 -0.89 -4.72
O -2.680273 -1.231414 -2.692101 0.48 0.78 1.10
O -2.731883 1.180836 -1.936291 1.56 -1.84 0.98
F -2.509363 -0.685414 -0.396231 -2.81 1.46 -2.51
S -0.285173 0.240946 -3.222291 -2.11 1.49 -6.19
O -0.744733 1.585296 -3.658041 1.97 -1.45 1.34
O -0.210533 -0.809184 -4.228951 0.69 0.55 1.66
F 1.290777 0.520586 -2.970751 0.06 -0.12 0.81
N 0.537447 0.131626 1.492319 9.43 0.68 16.72
S 0.923217 -0.764944 2.806969 4.92 -1.79 5.59
O -0.075553 -0.683634 3.835069 -0.24 -0.62 -1.65
O 2.331857 -0.989334 3.189659 -2.02 0.54 -0.81
F 0.814547 -2.161734 2.030229 -1.06 -0.80 -0.11
S 1.374347 1.338456 2.009599 3.82 5.47 6.42
O 2.814717 1.336706 1.669769 -2.08 0.02 0.79
O 0.902407 1.970756 3.257349 0.57 -0.58 -2.75
F 0.746237 2.288276 0.907639 1.29 2.35 2.62
O -0.478013 1.652046 -0.649891 -1.44 7.66 -2.45
H -1.106263 1.938496 -1.312831 -1.18 0.14 -0.84
H -0.024933 2.453076 -0.386631 -0.55 0.25 -0.40
O 1.068077 -1.647484 -0.487441 7.48 -9.26 -2.89
H 1.358787 -2.387074 0.046149 0.56 -0.55 0.65
H 1.249827 -1.915334 -1.388241 0.31 -0.01 -1.01
O 1.736277 0.653606 -0.302181 5.83 1.74 -4.56
H 2.038067 1.309946 -0.930171 0.11 0.22 -0.61
H 2.452847 0.576876 0.327789 1.57 -0.01 0.56
O -1.590493 0.263536 1.335849 -5.14 1.90 3.38
H -2.195613 0.440936 2.055979 -0.88 0.21 0.13
H -0.724803 0.263576 1.744289 -2.06 1.18 2.72
O -0.966133 -1.751214 0.429889 -4.68 -12.23 4.08
H -0.753903 -2.664634 0.237919 0.15 -0.76 -0.08
H -1.852613 -1.781324 0.789729 -0.51 0.17 0.22



2.
57
Properties=species:S:1:pos:R:3:forces:R:3 method="wB97M-V/def2-TZVPD" e_lumo_ha=0.0033 smiles="Cc1[nH]c(=O)[nH]c(=O)c1S(=O)(=O)N1CCC[C@H](C(=O)NCCC2=CCCCC2)C1" total_charge=0 total_energy_ha=-1734.29410 de_lowest_kj_mol=0.00 homo_ev=-8.56
C -3.225067 -0.442331 -2.708612 0.14 0.02 -0.20
C -3.392107 -0.376718 -1.232541 0.10 0.13 0.02
C -2.427221 -0.073902 -0.330374 1.03 0.20 -0.24
C -2.709032 -0.092147 1.089335 -0.39 -0.05 0.23
O -1.914223 0.150422 1.967224 0.09 -0.04 0.25
N -4.026052 -0.412228 1.412494 0.01 -0.01 0.28
C -5.041487 -0.709433 0.540856 0.05 0.04 -0.03
O -6.163577 -0.982500 0.875422 -0.32 -0.09 0.11
N -4.654552 -0.660873 -0.786822 0.04 -0.05 -0.30
H -5.376153 -0.887986 -1.460003 0.10 0.04 0.19
H -4.252404 -0.448197 2.400946 0.02 0.02 -0.19
S -0.679716 0.231891 -0.699342 -0.65 0.23 -0.24
O -0.586402 0.549324 -2.097456 -0.06 0.22 0.11
O 0.052344 -0.904782 -0.225955 0.11 -0.03 0.33
N -0.214492 1.535382 0.142408 -0.33 -0.81 -0.43
C -0.676044 2.843283 -0.243379 -0.17 0.52 -0.49
C 0.516887 3.792497 -0.360386 -0.16 -0.06 0.21
H 1.152938 3.458057 -1.180907 0.00 0.04 -0.11
C 1.324992 3.790886 0.935583 0.18 0.00 -0.16
H 2.209970 4.417457 0.820193 -0.06 0.00 0.09
'''
- President Bush has decided to impose temporary safeguard measures on key steel products to provide appropriate relief to those parts of the U.S. steel industry that have been most damaged by import surges. This relief is being provided in response to the injury findings of the ITC and is consistent with the President’s free trade agenda and his commitment to enforcing U.S. trade laws to help maintain the competitiveness of the U.S. economy.
**Between two parts of the text: data records:**
- - -
12
Properties=species:S:1:pos:R:3:forces:R:3 method="wB97M-V/def2-TZVPD" fmax_ev_per_a=4.85 e_homo_ev=-8.624 energy_ev=-24820.07724 homo_lumo_gap_ev=9.4 de_lowest_kcal_mol=43.3
C 0.495151 -1.389501 0.265438 -3.47 1.94 -0.53
C -0.988936 -1.185794 -0.207594 0.86 -2.62 -0.98
C 0.351802 0.819513 0.680246 -1.90 1.78 4.09
N 1.019182 -0.428960 0.857170 1.52 0.56 0.15
P 1.371595 2.005863 -0.274530 -1.24 -0.20 -1.62
S -1.409271 0.484900 0.215598 0.37 0.38 -0.76
H 0.897598 -2.327776 0.124480 1.18 -1.93 0.08
H -1.135035 -1.673370 -1.279156 0.08 1.52 1.98
H -1.520691 -1.825068 0.514556 -0.18 -0.10 -0.55
H 0.193409 1.435783 1.817466 0.74 -1.87 -3.12
H 1.771653 0.992887 -1.239165 0.08 0.63 0.46
H 2.281503 1.712561 0.664386 1.95 -0.09 0.79

10
Properties=species:S:1:pos:R:3:forces:R:3 method="wB97M-V/def2-TZVPD" s2=0.754 charge=-1 multiplicity=2 fmax_ev_per_a=1.44 e_homo_ev="0.907 / -3.041" energy_ev=-5254.12876 homo_lumo_gap_ev="4.2 / 7.8" de_lowest_kcal_mol=1.2
O 0.565406 -1.535980 0.781428 -0.10 -0.88 0.09
C 0.641432 -0.283530 0.607125 -0.14 0.71 -0.96
C 0.197150 0.423319 -0.681644 0.21 -0.27 1.29
C -1.198488 1.048582 -0.559023 0.16 1.13 -0.88
H 1.104004 0.363876 1.372542 0.12 0.13 -0.08
H 0.165742 -0.214731 -1.572477 0.11 -0.50 0.25
H 0.947607 1.191462 -0.937507 -0.28 0.32 0.12
H -2.003265 0.343769 -0.362852 0.11 -0.30 -0.16
H -1.355051 1.586893 -1.519770 -0.53 -0.20 0.09
H -1.289912 1.831834 0.195980 0.34 -0.14 0.24

10
Properties=species:S:1:pos:R:3:forces:R:3 method="wB97M-V/def2-TZVPD" fmax_ev_per_a=4.18 e_homo_ev=-8.078 energy_ev=-5248.42447 homo_lumo_gap_ev=5.3 de_lowest_kcal_mol=167.6
O 1.381461 0.291993 1.328407 -0.11 -1.37 -0.04
C 0.799311 -0.763806 0.778125 0.41 2.90 2.99
C 0.043711 -0.584220 -0.373874 -3.69 -1.61 -0.35
C -0.471034 0.738012 -0.764372 -0.83 0.78 -3.88
H -0.560975 0.271876 1.744336 1.29 -1.50 -2.03
H -0.425805 -1.403113 -1.023783 1.12 0.63 1.47
H 0.988731 -1.699096 1.325816 0.30 -0.33 -0.95
H -1.629563 0.879700 -0.529527 2.77 0.13 -0.26
H -0.421371 0.795071 -1.959628 -0.37 -0.22 2.26
H 0.295537 1.473587 -0.525501 -0.88 0.60 0.80

10
Properties=species:S:1:pos:R:3:forces:R:3 method="wB97M-V/def2-TZVPD" fmax_ev_per_a=1.28 e_homo_ev=-8.714 energy_ev=-5254.40105 homo_lumo_gap_ev=9.8 de_lowest_kcal_mol=29.8
C 0.770843 -0.765387 -1.253902 -0.15 -0.10 -0.45
C -0.210149 0.250912 0.633566 -0.64 0.62 0.63
C -1.107229 0.998384 1.300474 0.57 -0.67 -0.92
H 1.198301 -0.139717 -2.042401 0.03 -0.21 0.02
H 1.548692 -1.006552 -0.531070 -0.01 0.06 0.14
H 0.388336 -1.702637 -1.678289 0.13 0.24 0.01
H 0.665207 -0.151838 1.131038 0.06 -0.07 0.03
H -0.974489 1.174989 2.359538 -0.03 0.03 -0.16
H -1.965266 1.396482 0.765475 0.08 0.00 0.25
O -0.314245 -0.054636 -0.684428 -0.04 0.09 0.44

11
Properties=species:S:1:pos:R:3:forces:R:3 method="wB97M-V/def2-TZVPD" fmax_ev_per_a=0.52 e_homo_ev=-10.295 energy_ev=-7302.86404 homo_lumo_gap_ev=11.2 de_lowest_kcal_mol=18.8
C 1.542315 0.021063 -0.285702 -0.06 0.00 0.00
C 0.177489 0.167194 0.356274 0.02 0.00 0.44
- - -
- These types of temporary safeguard measures are expressly allowed by WTO rules -- in fact, international trade rules have provided such relief for more than 50 years. Many of our major trading partners -- including the European Union, Japan, Korea, Brazil, and India -- have imposed safeguard measures covering a wide range of products.
The President’s Commitment to Workers & Communities
- Meeting the challenges and opportunities of the global steel marketplace will also require adjustment and restructuring of the American steel industry, to ensure its long-term competitiveness.
- Restructuring will impact workers and communities in which they live and we must help hard-working Americans adapt to changing economic circumstances. The President has proposed a major expansion of the National Emergency Grants program to assist workers affected by restructuring with effective job training and assistance. The President has also proposed direct assistance with health insurance costs that will be available to workers and retirees who lose their employer-provided coverage. And the President supports coordinated assistance for communities and a strengthened and expanded trade adjustment assistance program. America’s workers are the most highly skilled in the world, and with effective training and adjustment assistance we will help them find better, higher paying jobs to support their families and boost our economy.